Tuesday, December 7, 2010

Response to Illegal Immigration

After reading a blog called “Illegal Immigration” from America Soup Talk by Josh Waggoner I felt I really learned something about illegal immigration in the U.S. I would have to say that I agree with my colleague that the government does really need to start doing more to protect the U.S. citizens and do more to punish and keep out the illegals. In my colleagues blog he discuses how if immigrants are caught the first time they only serve a two month prison service, and a second offense is only two years in prison. I believe that my colleague is correct and that there should be a greater punishment to scare them from trying to enter illegally. In this blog there are a lot of problems listed such as businesses hiring illegal’s to save themselves money. I also agree that if the government starts fining companies for the number of workers that are illegal they will start to end that problem. If they know they will lose money they will stop trying to get away with breaking the law. Also in this blog is Mr. Waggoner discusses how there is big problem with using illegal’s to bring drugs into the U.S. This is a good blog about the problems with illegal immigration and how the government should be doing more to solve this problem. This blog had a lot of key arguments about why illegal immigration is a big problem, and for me this is a big problem to me. Being in Texas this is a problem for us so I must argue more should be done to stop this problem.

Tuesday, November 23, 2010

National Debt Crisis

I believe that the United States government needs to start changing things if we want America’s future to look better. The first thing I believe that needs to really change is for the Obama administration and the Republicans and Democrats to work on getting us out of debt. One of the plans had the idea of raising 15 cents a gallon on the federal gasoline tax, and another idea was to raise the retirement age for Social Security to possibly 69. I think that it is good that they are coming up with ideas to get America out of debt, but they are going to have to do more because people in office can’t accept the Social Security and spending cuts. Also I believe that both the Republicans and Democrats are so worried about reelection no one wants do anything. The Democrats and Obama need to show America that they are serious about their pledge of long term deficits and the Republicans need to show that they are willing to consider tax increases. I believe that the debt is one of the most important things holding this country back and we are going to need strong leaders to help us overcome the debt. I believe that the U.S. needs to stop wasting money on stupid activities and projects. One problem that needs to stop is the government continuing its uninhibited spending, and they need to stop wasting and spending money more than what the government takes in resulting in inflation. We need to start coming up with ideas to fix our debt instead of blowing it off because if we don’t start now it is going to be a big problem in the future.

Tuesday, November 9, 2010

# The article is interrupted by records of crystals
[1]
Yb3SiO | the Materials Project database | r²SCAN | optimized geometry; calculated density = 9.9 g/cm3; energy of formation from the pure elements = -1.5452 eV per atom; E_tot = -26.4121 eV per atom
1.0
6.128 -0.932 1.474
-1.868 1.399 5.929
-2.325 -4.934 -3.292
Yb Si O
6 2 2
Direct
0.834 0.250 0.584 Yb
0.166 0.750 0.416 Yb
0.311 0.311 0.500 Yb
0.689 0.189 0.000 Yb
0.689 0.689 0.500 Yb
0.311 0.811 0.000 Yb
0.782 0.750 0.032 Si
0.218 0.250 0.968 Si
0.000 0.500 0.500 O
0.500 0.000 0.500 O



[2]
Th2Si3Ir | the Materials Project database | r²SCAN | optimized geometry; calculated density = 9.9 g/cm3; energy of formation from the pure elements = -0.9857 eV per atom; E_tot = -38.5909 eV per atom
1.0
-2.066 2.112 7.103
2.066 -2.112 7.103
2.066 2.112 -7.103
Th Si Ir
2 3 1
Direct
0.752 0.252 0.500 Th
0.001 0.001 0.000 Th
0.584 0.584 0.000 Si
0.331 0.831 0.500 Si
0.417 0.417 0.000 Si
0.165 0.665 0.500 Ir



[3]
La4As3 | the Materials Project database | r²SCAN | optimized geometry; calculated density = 6.6 g/cm3; energy of formation from the pure elements = -1.5435 eV per atom; E_tot = -24.8438 eV per atom
1.0
7.525 0.000 -2.660
-3.762 6.517 -2.660
0.000 0.000 7.981
La As
8 6
Direct
0.000 0.365 0.500 La
0.500 0.000 0.365 La
0.865 0.500 0.000 La
0.135 0.135 0.135 La
0.500 0.000 0.865 La
0.635 0.635 0.635 La
0.000 0.865 0.500 La
0.365 0.500 0.000 La
0.750 0.875 0.125 As
0.875 0.125 0.750 As
0.625 0.375 0.250 As
0.250 0.625 0.375 As
0.125 0.750 0.875 As
0.375 0.250 0.625 As



[4]
YCuSn | the Materials Project database | r²SCAN | optimized geometry; calculated density = 7.0 g/cm3; energy of formation from the pure elements = -0.6754 eV per atom; E_tot = -19.3110 eV per atom
1.0
2.257 -3.909 0.000
2.257 3.909 0.000
0.000 0.000 7.320
Y Cu Sn
2 2 2
Direct
0.000 0.000 0.999 Y
0.000 0.000 0.499 Y
0.667 0.333 0.321 Cu
0.333 0.667 0.821 Cu
0.333 0.667 0.229 Sn
0.667 0.333 0.729 Sn



[5]
In2S3O12 | the Materials Project database | r²SCAN | optimized geometry; calculated density = 3.6 g/cm3; energy of formation from the pure elements = -1.6183 eV per atom; E_tot = -9.9082 eV per atom
1.0
-4.862 3.473 -6.944
-2.344 -4.565 -7.589
-8.530 -2.495 -2.221
In S O
4 6 24
Direct
0.855 0.855 0.855 In
0.145 0.145 0.145 In
0.652 0.652 0.652 In
0.348 0.348 0.348 In
0.544 0.248 0.959 S
0.959 0.544 0.248 S
0.248 0.959 0.544 S
0.456 0.752 0.041 S
0.041 0.456 0.752 S
0.752 0.041 0.456 S
0.402 0.203 0.980 O
0.980 0.402 0.203 O
0.203 0.980 0.402 O
0.598 0.797 0.020 O
0.020 0.598 0.797 O
0.797 0.020 0.598 O
0.528 0.206 0.148 O
0.148 0.528 0.206 O
0.206 0.148 0.528 O
0.472 0.794 0.852 O
0.852 0.472 0.794 O
0.794 0.852 0.472 O
0.738 0.131 0.866 O
0.866 0.738 0.131 O
0.131 0.866 0.738 O
0.262 0.869 0.134 O
0.134 0.262 0.869 O
0.869 0.134 0.262 O
0.511 0.452 0.840 O
0.840 0.511 0.452 O
0.452 0.840 0.511 O
0.489 0.548 0.160 O
0.160 0.489 0.548 O
0.548 0.160 0.489 O



[6]

Health Care Reply

I would have to say after reading an article called Health Care Yes? From blog America Soup Talk by Joshua, I was glad to learn about what Obama is doing with the health care issue. As I read this blog I learned that Obama is helping people who don’t have health care and that he is also making the coverage more affordable for the common man. I also learned that another part of the health care is letting young adults stay under their parents insurance until they are 26. This is good because kids can get into trouble sometimes at this age and health insurance is very important. One concern I have is the rumor in this bill is that the State government is responsible for providing everyone with health insurance. They state that the states would have to raise taxes so these uninsured people can be under coverage, which will affect citizens who already have health coverage. Josh Waggoner agrees with the Obama health bill and believes that it can help people that can’t afford health coverage. I’m going to have to agree with this blogger because having the disease I have I need to be able to have a good health insurance coverage that I can afford because I’m going to have this disease probably for the rest of my life.

Thursday, October 28, 2010

Dont Ask

Earlier in one of my blog posts I talked about the Don’t Ask Don’t Tell policy, and I thought that now would be a great time to talk about how I feel about it. I feel that the U.S. national government should hurry up and get rid of this policy. Many members of the national are so scared to say that they disagree with this policy because when voting comes around they might not get reelected. I believe that if a person is willing to fight and put there lives on the line for our country that person’s sexual orientation shouldn’t matter. This subject is a tough subject for people to discuss and most people want to avoid it because it can have such a negative effect on the way people view that person. This subject is probably the hardest on President Obama who has to worry about angering people if he does repeal the law. The Obama administration says it is in favor of repealing the law but still until he does something that helps get rid of this policy our national government will look weak. In a recent article the Obama administration asked a federal appeals court to immediately suspend a judges ruling that overturned the military’s “don’t ask don’t tell policy”. There reason for doing this would create uncertainty about service members who may reveal their sexual orientation. This article was at the USA TODAY and the article was called “Government seeks stay of Don’t ask, don’t tell ruling”. This tough issue is really showing weakness in our government and we need a strong leader that can end this issue

Thursday, October 14, 2010

War on Drugs

In the blog “The Wars on Drugs and Terror: mirror images” by Glenn Greenwald he writes on November 2, Californians will vote on Proposition 19 which would legalize marijuana. He talks about how he has an Op-Ed in Politico today on the success of drug decriminalization in Portugal based on his research in Portugal in 2008. He says that Portugal has reduced the problems with drug usage and manage and control the problems related to drugs unlike other nations the criminalize drugs such as the U.S. The author believes the “War on Drugs” is irrational and empirically false are the justifications for drug prohibition. He also believes this war is too costly and believes the War on Drugs is a mere image of the War on Terror. He believes the both of these use deceitful propaganda and driven by the same motives and both destructive to the American people. Mr. Greenwald brings up how both use scary villains like Mexican cartels and the Terrorist mastermind to “keep the population in a state of heightened fear and thus blind them to rational discourse.” The author is basing his claims on his research in Portugal and claims if drugs are legalized America might be able to reduce the problem with drugs. The author believes that these wars are in an endless loop and he believes the industries that fight them become richer and richer. While the political officials that own them get more and more powerful. I can’t totally agree with the author with having drugs legal because I still believe that there would be crime and drug problems in America. I can agree that I believe that people are using deceitful propaganda and trying to scare the American public. They even try to get the American public to think the only way they will be safe is if they give more power to the state. The author of this is targeting an older audience probably older men and women.

Thursday, September 30, 2010

The Senate Needs to Step Up

In the editorial “The Senate and the Spill” at the New York Times, the author talks about how the House has already passed a bill that would build from the gulf accident and make offshore drilling safer. The author then states that it would be very irresponsible of the Senate not to pass a bill that would help build and make offshore drilling better in the future. In the article the author states, “The Senate has not distinguishes itself on environmental issues over the last two years, failing to even vote on comprehensive energy and climate legislation that the House had passed. The least it can do is muster a meaningful response to the oil spill.” In the article it is mentioned that Harry Reid the Senate majority leader has a bill that could help if passed. The bill would tighten environmental safeguards and like the House bill it would require companies to list more detailed response plans before receiving drilling permits. I would have to agree with the author of this article because I believe that a bill is necessary in both the House and Senate to help prevent another environmental disaster like this oil spill that was one of the worse disasters in American history. I believe that if a bill is not passed in the Senate that oil companies will just go back to the way they did things before and another spill could occur and could be worse than this last one. The author also asks what’s taking the Senate so long in passing a bill and I agree the faster the Senate passes a bill the faster the environment and America will be safe. The author doesn’t need much logic to back up what he is saying because there is so much evidence of the oil in the ocean to prove that a bill is needed to be passed.

Tuesday, September 14, 2010

Don't Ask, Don't Tell

In the article “Pentagon: No Plans to Change Don’t Ask Don’t Tell Policy after Court Ruling” at FOXNEWS  it states that the military wont reinstate any gay members discharged. The soldiers were discharged under the “don’t ask, don’t tell policy” even though a judge’s ruling last week ruled the policy unconstitutional. A pentagon spokeswoman said that this decision has no affect on military policy because the current law is still in affect. The judge that ruled this unconstitutional was District Judge Virginia Phillips who also said that the policy “violates their constitutional rights and has a direct and deleterious affect on the armed forces.” The Human Rights Campaign a gay rights campaign has said that 14,000 service members have been discharged. Imagine how many more service members could be discharged if the military knew they were gay, that number may be a lot more than 14,000 in the next few years. When does the government have the power to choose who can service the military? Is the military allowed to discriminate against someone’s sexual preference?